Historical and Regional Geology


The chair of Historical and Regional Geology was founded in 1949 by A.H. Gabrielyan, the academician of ASSR Academy of Science. At first, it was called The chair of Paleontological and Historical Geology, but in 1980 it was renamed The chair of Historical and Regional Geology. The chair was headed by professors A.H. Gabrielian (1949-1981), H.H. Sargsyan (1981-1997), G.P. Simonyan (1997-2005), docent Ed. Kharazyan (2005 - till now).

'''
i:
# HfCu3F, optimized geometry, DFT PBE-GGA
# Spin magnetization in μB per formula unit: 1.440
data_HfCu3F
_space_group_name_H-M_alt 'P m -3 m'
_space_group_IT_number 221
_space_group_name_Hall '-P 4 2 3'
_cell_length_a 4.205
_cell_length_b 4.205
_cell_length_c 4.205
_cell_angle_alpha 90.00
_cell_angle_beta 90.00
_cell_angle_gamma 90.00
loop_
_atom_site_label
_atom_site_type_symbol
_atom_site_fract_x
_atom_site_fract_y
_atom_site_fract_z
Hf1 Hf 0.000 0.000 0.000
Cu1 Cu 0.000 0.500 0.500
F1 F 0.500 0.500 0.500

=====

ii:
# HfCu3F, optimized geometry, DFT PBE-GGA
# Spin magnetization in μB per formula unit: 0.000
data_HfCu3F
_space_group_name_H-M_alt 'P m -3 m'
_space_group_IT_number 221
_space_group_name_Hall '-P 4 2 3'
_cell_length_a 4.982
_cell_length_b 4.982
_cell_length_c 4.982
_cell_angle_alpha 90.00
_cell_angle_beta 90.00
_cell_angle_gamma 90.00
loop_
_atom_site_label
_atom_site_type_symbol
_atom_site_fract_x
_atom_site_fract_y
_atom_site_fract_z
Hf1 Hf 0.000 0.000 0.000
Cu1 Cu 0.000 0.000 0.500
F1 F 0.500 0.500 0.500

=====

The computed energies, referenced to the most stable structure and given in eV/atom, are i 0.000; ii 0.913.

=====

i:
# HfCuF2, optimized geometry, DFT PBE-GGA
# Spin magnetization in μB per formula unit: 0.000
data_HfCuF2
_space_group_name_H-M_alt 'I -4 2 d'
_space_group_IT_number 122
_space_group_name_Hall 'I -4 2bw'
_cell_length_a 4.018
_cell_length_b 4.018
_cell_length_c 14.542
_cell_angle_alpha 90.00
_cell_angle_beta 90.00
_cell_angle_gamma 90.00
loop_
_atom_site_label
_atom_site_type_symbol
_atom_site_fract_x
_atom_site_fract_y
_atom_site_fract_z
Hf1 Hf 0.000 0.000 0.000
Cu1 Cu 0.000 0.000 0.500
F1 F 0.140 0.250 0.125

=====

ii:
# HfCuF2, optimized geometry, DFT PBE-GGA
# Spin magnetization in μB per formula unit: 0.000
data_HfCuF2
_space_group_name_H-M_alt 'F m -3 m'
_space_group_IT_number 225
_space_group_name_Hall '-F 4 2 3'
_cell_length_a 5.858
_cell_length_b 5.858
_cell_length_c 5.858
_cell_angle_alpha 90.00
_cell_angle_beta 90.00
_cell_angle_gamma 90.00
loop_
_atom_site_label
_atom_site_type_symbol
_atom_site_fract_x
_atom_site_fract_y
_atom_site_fract_z
Hf1 Hf 0.000 0.000 0.000
Cu1 Cu 0.000 0.000 0.500
F1 F 0.250 0.250 0.250

=====

iii:
# HfCuF2, optimized geometry, DFT PBE-GGA
# Spin magnetization in μB per formula unit: 0.000
data_HfCuF2
_space_group_name_H-M_alt 'R -3 m'
_space_group_IT_number 166
_space_group_name_Hall '-R 3 2"'
_cell_length_a 2.8432
_cell_length_b 2.8432
_cell_length_c 28.7103
_cell_angle_alpha 90.00
_cell_angle_beta 90.00
_cell_angle_gamma 120.00
loop_
_atom_site_label
_atom_site_type_symbol
_atom_site_fract_x
_atom_site_fract_y
_atom_site_fract_z
Hf1 Hf 0.0000 0.0000 0.0000
Cu1 Cu 0.0000 0.0000 0.5000
F1 F 0.0000 0.0000 0.3865

=====

The computed energies, referenced to the most stable structure and given in eV/atom, are i 0.057; ii 0.571; iii 0.000.

=====

i:
# Hf2CuF, optimized geometry, DFT PBE-GGA
# Spin magnetization in μB per formula unit: 0.000
data_Hf2CuF
'''
Back to the text =

The chair of Historical and Regional Geology has a serious contribution to the development in the spheres of the geological science in Armenia and the creation of geological terms in our native language. It was the leading scientific research organization of The Regional Geology in the republic for many years .

The main directions of research studies of the Chair are: the tectonics, seismotectonics, stratigraphy, the newest volcanism, geological mapping and history of geological development of RA and neighboring areas.

In the second half of last century, the results of long-term field studies of the chair staff, the publication of numerous monographs and articles, the compilation of many different schemes and maps allowed to discover the structural features of the space of RA for explaining the major regularities of geological development and spatial allocation of mineral resources.During this period the problems of the geological structure in RA was the first time studied and got their solutions in the works of The Chair staff .

The studies of The Chair staff allowed to restore the stages of geological development area of RA, the orogenesis, the structural floors, the physical and geographical conditions.

Results were summarized in many old geographical (A. Gabrielian, 1964,H. Sargsyan, 1966) and old tectonic (H. Sargsyan 1972) maps, which are useful for availability and prospective assessment of some aqueous mineral resources (oil, coal, salt, etc.) in Armenia.

As for earthquakes prediction problem, then A. Gabrielian, H. Sargsyan and E. Kharazyan carried out detailed studies in Ararat trial area and made 1:100000 scale geological, tectonic and seismotectonic maps of the area.

The Geological map edition of 1:500000scale of Armenia occupies an important place in research activities of The Chair (by E. Kharazyan, 2005).

Between two parts of the text: materials data:
[1]
## LiAcTmPd (GGA-PBE)

Data for LiAcTmPd after structural relaxation.

## Properties
electronic total energy = -16.9 eV per formula unit
space-group type = F-43m (216)

a = 7.4139 Å, b = 7.4139 Å, c = 7.4139 Å
α = 90.00°, β = 90.00°, γ = 90.00°
Fractional positions:
Li 0.0000 0.0000 0.0000
Li 0.0000 0.5000 0.5000
Li 0.5000 0.0000 0.5000
Li 0.5000 0.5000 0.0000
Ac 0.2500 0.2500 0.2500
Ac 0.2500 0.7500 0.7500
Ac 0.7500 0.2500 0.7500
Ac 0.7500 0.7500 0.2500
Tm 0.2500 0.2500 0.7500
Tm 0.2500 0.7500 0.2500
Tm 0.7500 0.2500 0.2500
Tm 0.7500 0.7500 0.7500
Pd 0.0000 0.0000 0.5000
Pd 0.0000 0.5000 0.0000
Pd 0.5000 0.0000 0.0000
Pd 0.5000 0.5000 0.5000

[2]
## KTe2IN (GGA-PBE)

Data for KTe2IN after structural relaxation.

## Properties
E above lowest polymorph = 0 meV per atom
formation energy from raw total energies = 0.86 eV/f.u.
space-group type = P4/mmm (123)

a = 4.6072 Å, b = 4.6072 Å, c = 8.8536 Å
α = 90.00°, β = 90.00°, γ = 90.00°
Fractional positions:
K 0.0000 0.0000 0.0000
Te 0.0000 0.5000 0.5000
Te 0.5000 0.0000 0.5000
I 0.5000 0.5000 0.0000
N 0.5000 0.5000 0.5000

[3]
## Li2CrCl (GGA-PBE)

Data for Li2CrCl after structural relaxation.

## Properties
E above lowest polymorph = 248 meV per atom
formation energy from raw total energies = -0.37 eV/f.u.
space-group type = Immm (71)

a = 3.2303 Å, b = 6.6088 Å, c = 8.7352 Å
α = 90.00°, β = 90.00°, γ = 90.00°
Fractional positions:
Li 0.0000 0.0000 0.1922
Li 0.0000 0.0000 0.8078
Li 0.5000 0.5000 0.3078
Li 0.5000 0.5000 0.6922
Cr 0.0000 0.5000 0.0000
Cr 0.5000 0.0000 0.5000
Cl 0.0000 0.5000 0.5000
Cl 0.5000 0.0000 0.0000

[4]
## Cd3RuF (GGA-PBE)

Data for Cd3RuF after structural relaxation.

## Properties
E above lowest polymorph = 0 meV per atom
formation energy from raw total energies = 0.12 eV/f.u.
space-group type = Pm-3m (221)

a = 4.5614 Å, b = 4.5614 Å, c = 4.5614 Å
α = 90.00°, β = 90.00°, γ = 90.00°
Fractional positions:
Cd 0.0000 0.0000 0.5000
Cd 0.0000 0.5000 0.0000
Cd 0.5000 0.0000 0.0000
Ru 0.5000 0.5000 0.5000
F 0.0000 0.0000 0.0000

[5]
## HgPb2W (GGA-PBE)

Data for HgPb2W after structural relaxation.

## Properties
electronic total energy = -18.0 eV per formula unit
space-group type = Imm2 (44)

a = 2.9965 Å, b = 4.9099 Å, c = 14.2777 Å
α = 90.00°, β = 90.00°, γ = 90.00°
Fractional positions:
Hg 0.0000 0.0000 0.0000
Hg 0.5000 0.5000 0.5000
Pb 0.0000 0.0000 0.6307
Pb 0.0000 0.5000 0.8215
Pb 0.5000 0.0000 0.3215
Pb 0.5000 0.5000 0.1307
W 0.0000 0.5000 0.3186
W 0.5000 0.0000 0.8186

[6]
## La5Pm5Sm2 (GGA-PBE)

Data for La5Pm5Sm2 after structural relaxation.

## Properties
electronic total energy = -57.6 eV per formula unit
space-group type = C2/m (12)

a = 8.2661 Å, b = 8.2661 Å, c = 11.6236 Å
α = 115.20°, β = 115.20°, γ = 36.82°
Fractional positions:
La 0.0000 0.0000 0.0000
La 0.0823 0.0823 0.7488
La 0.2493 0.2493 0.2512
La 0.7507 0.7507 0.7488
La 0.9177 0.9177 0.2512
Pm 0.3330 0.3330 0.0003
Pm 0.4154 0.4154 0.7475
Pm 0.5000 0.5000 0.5000
Pm 0.5846 0.5846 0.2525
The materials data stop here:

In 2007 "The trilingual (Russian-Armenian-English) encyclopedic dictionary of geological terms" was published (by H. Sargsyan and R. Sargsyan), which was widely spread among geologists and specialists of related sciences. This unique and valuable work is a great contribution to the creation of the field of armenian geological terms.

/*
## A
First-principles (PBE) data for crystalline CeDyC at its relaxed geometry, as listed in Alexandria.

Cell: 4.3466 4.3466 4.3466 Å, 60.00 60.00 60.00°
Positions (direct):
C  0.2500  0.2500  0.2500
Ce  0.5000  0.5000  0.5000
Dy  0.0000  0.0000  0.0000

Total magnetic moment = 0.001 μB/atom

## B
First-principles (PBE) data for crystalline CeDyC at its relaxed geometry, as listed in Alexandria.

Cell: 6.3979 3.5445 3.5445 Å, 120.00 90.00 90.00°
Positions (direct):
C  0.3332  0.6667  0.3333
Ce  0.1162  0.0000  0.0000
Dy  0.5507  0.3333  0.6667

Total magnetic moment = 0.319 μB/atom

Stability, lowest: A
*/

Along with these activities The Chair participated in a number of international important problems and projects development.